Reporting antisocial behaviour
We want people living in our properties and their neighbours to live safely and comfortably in their homes without fear, and to be treated with respect.
Everyone has the right to the quiet enjoyment of their home no matter where they live. We take seriously anything that might prevent you or your neighbours having the quiet enjoyment of your home due to antisocial behaviour (ASB).
What is ASB?
ASB is behaviour that causes (or is capable of causing) harassment, alarm or distress to others. This may be one or a combination of some of the following:
- excessive noise nuisance
- verbal abuse
- hate related incidents
- vandalism and damage
- dogs barking inside or outside the property
- drug and substance misuse
- alcohol related nuisance
- domestic abuse
- physical violence
- prostitution/sexual acts
- harassment
- intimidation
- threatening behaviour
- misuse of communal areas
**The entry is interrupted by calculated molecules:**
____________
No. 1
This record from the OMol25 dataset describes a molecular structure, C22H50N3P3SeTl. The level of theory is ωB97M-V/def2-TZVPD.

The value obtained for the relative energy (zero: lowest compared OMol25 entry of this formula, charge and spin) is 72.91 kcal/mol. The value obtained for the orbital gap (alpha / beta) is 4.10 / 3.68 eV. Its net charge is +3.

Each line ends with the Löwdin charge.
Positions of all 80 atoms, in Å:
Tl -0.75 1.51 -1.90  0.845
P 0.06 -0.82 2.45  0.843
P 2.03 1.42 1.05  0.860
P -0.93 -2.19 -0.39  0.807
H 4.18 0.40 -6.61  0.072
C 3.20 0.18 -7.07  -0.093
C 2.10 0.91 -6.78  -0.081
H 2.23 1.81 -6.15  0.054
C 1.36 -1.89 3.19  -0.249
C -0.01 0.48 3.74  -0.262
C -1.42 -1.80 3.01  -0.249
C 2.84 1.99 -0.49  -0.263
C 1.98 3.04 1.95  -0.226
C 3.54 0.74 1.90  -0.263
C -0.78 -2.48 -2.18  -0.251
C -2.72 -2.52 -0.24  -0.235
C -0.34 -3.85 0.14  -0.256
H 3.13 -0.69 -7.74  0.070
H 1.12 0.64 -7.19  0.061
H 1.13 -2.06 4.25  0.079
H 2.33 -1.41 3.09  0.021
H 1.34 -2.84 2.65  0.040
H -0.37 0.05 4.69  0.073
H -0.72 1.26 3.40  0.032
H 0.99 0.92 3.89  0.033
H -1.43 -1.82 4.12  0.077
H -1.34 -2.83 2.62  0.033
H -2.33 -1.29 2.64  0.018
H 3.57 2.76 -0.21  0.079
H 2.10 2.42 -1.17  0.008
H 3.36 1.16 -0.97  0.033
H 3.02 3.38 2.10  0.076
H 1.49 2.92 2.93  0.045
H 1.42 3.78 1.36  0.057
H 4.29 1.54 1.91  0.070
H 3.92 -0.13 1.36  0.011
H 3.30 0.46 2.93  0.045
H -1.26 -3.44 -2.41  0.081
H 0.27 -2.53 -2.48  0.044
H -1.29 -1.68 -2.74  0.038
H -2.93 -3.51 -0.65  0.080
H -3.28 -1.75 -0.79  0.044
H -2.98 -2.48 0.83  0.038
H -0.94 -4.59 -0.41  0.073
H -0.48 -3.99 1.22  0.037
H 0.73 -3.96 -0.10  0.019
C 3.16 -1.85 -1.96  -0.552
C 2.98 -0.85 -2.90  -0.139
C 3.42 -1.07 -4.20  -0.059
C 4.14 -2.22 -4.55  -0.021
C 4.43 -3.16 -3.55  -0.032
C 3.93 -2.98 -2.26  -0.094
Se 2.30 -1.67 -0.26  0.936
H 1.26 -0.92 -0.94  -0.176
H 2.47 0.08 -2.63  0.067
H 3.18 -0.36 -4.98  0.045
H 4.45 -2.39 -5.60  0.134
H 5.07 -4.02 -3.78  0.129
H 4.13 -3.71 -1.48  0.112
C -2.52 4.44 1.48  -0.028
N -3.40 3.28 1.61  -0.113
C -4.76 3.59 2.02  -0.009
C -2.96 2.02 1.36  -0.427
N -1.76 1.78 0.83  -0.006
N -3.85 0.94 1.58  -0.209
C -4.29 0.56 2.93  -0.052
C -4.72 0.60 0.46  -0.059
H -3.14 5.33 1.39  0.102
H -1.90 4.38 0.58  0.082
H -1.84 4.54 2.34  0.109
H -5.46 2.93 1.49  0.086
H -4.90 3.46 3.10  0.102
H -4.99 4.63 1.79  0.104
H -1.13 2.55 1.05  -0.018
H -4.99 1.30 3.34  0.081
H -4.81 -0.41 2.89  0.104
H -3.41 0.46 3.59  0.080
H -4.10 0.45 -0.44  0.068
H -5.27 -0.33 0.66  0.103
H -5.45 1.40 0.29  0.083

=====

No. 2
This record from the OMol25 dataset describes 19 unconnected molecules or ions with the total composition C70H114O51S3. The level of theory is ωB97M-V/def2-TZVPD.

The value obtained for the orbital gap is 8.78 eV.

Each line ends with the Löwdin charge.
Positions of all 238 atoms, in Å:
C -5.40 -0.99 2.92  0.013
C -4.41 -1.32 4.06  -0.269
C -3.59 -0.25 4.69  -0.073
O -3.81 -0.38 6.11  0.088
C -4.82 -1.26 6.26  -0.628
O -5.42 -1.44 7.32  0.114
O -5.17 -1.80 5.18  0.123
____________
- cuckooing
- hate crime.
We will not treat matters relating to residents going about their normal everyday activities as ASB, unless it is a breach of their tenancy agreement. Examples of issues which may upset or disturb people, but which cannot be dealt with as ASB are:
- flushing toilets
-- begin --
{
  "formula": "C24H19F5N2O5",
  "method": "ωB97M-V/def2-TZVPD",
  "elements": ["O", "C", "N", "C", "H", "C", "N", "C", "C", "H", "H", "H", "H", "C", "C", "C", "C", "C", "C", "C", "H", "O", "C", "O", "H", "H", "H", "H", "H", "H", "H", "H", "H", "C", "C", "C", "C", "O", "C", "H", "H", "O", "C", "C", "C", "C", "C", "C", "F", "F", "F", "F", "F", "H", "H"],
  "positions_angstrom": [[4.686948, 1.845821, -0.444580], [3.741328, 1.306629, -0.992037], [3.647945, -0.028046, -1.154856], [2.624780, -0.726637, -1.894691], [2.092779, -0.042742, -2.554043], [1.654237, -1.415127, -0.911216], [2.291085, -1.719018, 0.361424], [3.681734, -2.066539, 0.175376], [4.527231, -0.909962, -0.414688], [5.002330, -0.313813, 0.367005], [5.311789, -1.304043, -1.070871], [3.705493, -2.926695, -0.499585], [4.101926, -2.378515, 1.133290], [2.055661, -0.727257, 1.399940], [0.584848, -0.618683, 1.706307], [-0.012153, 0.619076, 1.882797], [-1.369113, 0.748438, 2.178735], [-2.095484, -0.410337, 2.287989], [-1.500843, -1.661926, 2.115499], [-0.168062, -1.791898, 1.822022], [0.290924, -2.754064, 1.676655], [-2.447889, -2.637694, 2.279850], [-3.619705, -1.971066, 2.691368], [-3.436015, -0.576810, 2.544234], [-4.470015, -2.303723, 2.082913], [-3.824998, -2.203866, 3.751255], [-1.830683, 1.710799, 2.330448], [0.590389, 1.510944, 1.797006], [2.447412, 0.270309, 1.155464], [2.576467, -1.077804, 2.298400], [1.292336, -2.349927, -1.351728], [0.792927, -0.775520, -0.725021], [3.129465, -1.474287, -2.517165], [2.572207, 2.097005, -1.470962], [2.474820, 3.220499, -2.242491], [1.102401, 3.564510, -2.264467], [0.466602, 2.644036, -1.482589], [1.352894, 1.754713, -0.999355], [-0.958530, 2.481179, -1.073068], [-1.067733, 2.689221, -0.001847], [-1.585946, 3.171363, -1.646044], [-1.314858, 1.123446, -1.336391], [-2.488037, 0.627015, -0.926553], [-3.561039, 1.318765, -0.356874], [-4.739692, 0.670544, 0.002875], [-4.886903, -0.692650, -0.207298], [-3.832645, -1.409025, -0.769184], [-2.661770, -0.755398, -1.115260], [-1.655054, -1.450850, -1.655702], [-3.952655, -2.721010, -0.972565], [-6.020212, -1.314272, 0.130610], [-5.733892, 1.376848, 0.537240], [-3.498344, 2.645442, -0.138762], [0.655081, 4.388591, -2.780695], [3.278229, 3.724012, -2.738119]],
-- stop --
- cooking smells
- people smoking in their own home
- people talking at normal volume in their home
- machines or other household appliances
- babies crying or playing
- children playing or arguing
- riding skateboards or bikes
- people being inconsiderate or thoughtless
- people looking or staring.
If you have any concerns about this type of behaviour, and would like to speak to someone, you can contact us using our compliments, suggestions, and complaints form.
You can find out more about our ASB policy here.
What can I do if I am experiencing ASB?
Most nuisance behaviour is simply people behaving without any thought or consideration for those around them. This may be a party that is louder or runs on later than the law permits, or music being played at unreasonable times of the night or morning. Sometimes peoples normal living noise can cause individuals a nuisance.
In all these instances it is important that you try to resolve the matter informally:
If possible, try to approach the neighbour causing the problem, politely and respectfully explain to them what they are doing and how that is affecting you and ask them to stop. If you are living in our accommodation and find this difficult tell us and we will walk you through how to do this so that you feel more comfortable about discussing this with your neighbour calmly.
Often people are not aware of the impact they are having on others and once they become aware are willing to change their behaviour. However, please approach the matter carefully if you think they might react angrily to a complaint.
If after giving your neighbour an opportunity to stop the problem persists and you are either living in our accommodation or your nuisance is caused by one of our occupants, then you can contact us to see what can be done under out anti-social behaviour policy.
If this happens at night or you do not feel able to say anything, then either write down what is happening and how you feel or using your phone to record your words about the experience. If it is needed this can be used as evidence to support your issue. But remember you must record you talking about your experience it is illegal to record others without their permission.
If they react angrily or you feel the need for assistance, discuss this with your key worker to agree what actions should be taken, and how to approach your neighbour.
If the incident is serious, and you are fearful for your or other people’s safety, you should call the police immediately. They have powers to intervene immediately but only if it is serious.
Make sure you ask for a log number for your reference. For noise nuisance, you need to make a complaint to your local authority.
For more information on reporting a crime or antisocial behaviour, click here.
Report a Nacro tenant
If you have concerns about antisocial behaviour or neighbour nuisance issues, you can record these on the contact form below: